# What to do
Please print everything below character by character.
# File
No. 1
Here is a geometry-optimized ZrTcSe structure from the Alexandria database. Energies are from PBE.

Its uncorrected formation energy is -0.45 eV per atom. The value obtained for the total energy is -7.92 eV/atom.

It has space group C2/m (No. 12), with a = 13.394 Å, b = 3.401 Å, c = 5.037 Å, α = 90.00°, β = 92.29° and γ = 90.00°. The asymmetric unit holds Zr at (0.112, 0.000, 0.218), Tc at (0.046, 0.500, 0.707) and Se at (0.199, 0.000, 0.742).



No. 2
Here is a geometry-optimized Tm3URu3 structure from the Alexandria database. Energies are from PBE.

The formation energy comes out at -0.42 eV per atom. The value obtained for the total energy is -7.93 eV/atom.

It has space group R3m (No. 160, hexagonal axes), with a = 9.3629 Å, b = 9.3629 Å, c = 5.9262 Å, α = 90.00°, β = 90.00° and γ = 120.00°. The asymmetric unit holds Tm at (0.2012, 0.4025, 0.0000), U at (0.0000, 0.0000, 0.8137) and Ru at (0.1859, 0.3717, 0.5145).



No. 3
Here is a geometry-optimized Na7In2Pb2 structure from the Alexandria database. Energies are from PBE.

The formation energy comes out at -0.11 eV per atom. The value obtained for the total energy is -2.12 eV/atom.

It has space group Imm2 (No. 44), with a = 5.334 Å, b = 14.149 Å, c = 8.634 Å, α = 90.00°, β = 90.00° and γ = 90.00°. The asymmetric unit holds Na at (0.000, 0.000, 0.000), Na at (0.000, 0.152, 0.687), Na at (0.000, 0.349, 0.475), Na at (0.000, 0.354, 0.898), In at (0.000, 0.000, 0.402), In at (0.000, 0.500, 0.182) and Pb at (0.000, 0.192, 0.196).



No. 4
Here is a geometry-optimized Na2HfAs2 structure from the Alexandria database. Energies are from PBE.

The formation energy comes out at -0.30 eV per atom. The value obtained for the total energy is -4.68 eV/atom.

It has space group P4/mbm (No. 127), with a = 7.011 Å, b = 7.011 Å, c = 4.759 Å, α = 90.00°, β = 90.00° and γ = 90.00°. The asymmetric unit holds Na at (0.162, 0.338, 0.000), Hf at (0.000, 0.000, 0.500) and As at (0.145, 0.645, 0.500).
# Outcome
No. 1
Here is a geometry-optimized ZrTcSe structure from the Alexandria database. Energies are from PBE.

Its uncorrected formation energy is -0.45 eV per atom. The value obtained for the total energy is -7.92 eV/atom.

It has space group C2/m (No. 12), with a = 13.394 Å, b = 3.401 Å, c = 5.037 Å, α = 90.00°, β = 92.29° and γ = 90.00°. The asymmetric unit holds Zr at (0.112, 0.000, 0.218), Tc at (0.046, 0.500, 0.707) and Se at (0.199, 0.000, 0.742).



No. 2
Here is a geometry-optimized Tm3URu3 structure from the Alexandria database. Energies are from PBE.

The formation energy comes out at -0.42 eV per atom. The value obtained for the total energy is -7.93 eV/atom.

It has space group R3m (No. 160, hexagonal axes), with a = 9.3629 Å, b = 9.3629 Å, c = 5.9262 Å, α = 90.00°, β = 90.00° and γ = 120.00°. The asymmetric unit holds Tm at (0.2012, 0.4025, 0.0000), U at (0.0000, 0.0000, 0.8137) and Ru at (0.1859, 0.3717, 0.5145).



No. 3
Here is a geometry-optimized Na7In2Pb2 structure from the Alexandria database. Energies are from PBE.

The formation energy comes out at -0.11 eV per atom. The value obtained for the total energy is -2.12 eV/atom.

It has space group Imm2 (No. 44), with a = 5.334 Å, b = 14.149 Å, c = 8.634 Å, α = 90.00°, β = 90.00° and γ = 90.00°. The asymmetric unit holds Na at (0.000, 0.000, 0.000), Na at (0.000, 0.152, 0.687), Na at (0.000, 0.349, 0.475), Na at (0.000, 0.354, 0.898), In at (0.000, 0.000, 0.402), In at (0.000, 0.500, 0.182) and Pb at (0.000, 0.192, 0.196).



No. 4
Here is a geometry-optimized Na2HfAs2 structure from the Alexandria database. Energies are from PBE.

The formation energy comes out at -0.30 eV per atom. The value obtained for the total energy is -4.68 eV/atom.

It has space group P4/mbm (No. 127), with a = 7.011 Å, b = 7.011 Å, c = 4.759 Å, α = 90.00°, β = 90.00° and γ = 90.00°. The asymmetric unit holds Na at (0.162, 0.338, 0.000), Hf at (0.000, 0.000, 0.500) and As at (0.145, 0.645, 0.500).